
Dream date

Posted in Random thoughts, Too Much Information at 1:18 pm by ducky

I’ve had a constant question running in the back of my head for a long time, “Who would you have dinner with if you could?”  (I talked about this a little in the post about Steve Wozniak.)

I have expanded it a little to which three people I would like to be at the same table with, or even just to witness.  I’ve decided that my dream dinner team is Randall Munroe of xkcd, Nate Silver of fivethirtyeight.com, and Jon Stewart of The Daily Show.

How to go about pulling that off is a trickier matter.  Step one would probably be to do something really interesting, such that I would be a desirable dinner date…


Sovereignty of the people

Posted in Canadian life, Gay rights, Politics at 9:40 am by ducky

Recently, the California Supreme Court heard arguments in a case designed to overturn California’s Proposition 8, which overturned the judicial decision that gay and lesbian people had the right to marry.  While I didn’t watch the hearings myself, I understand that Ken Starr (the defending attorney) basically put forth the belief that a majority vote could strip rights of  minority.

People who are better than I at guessing what the outcome will be by examining the questions, tone, and body language of the justices think that they will rule against overturning Proposition 8, in part because they think that the California Domestic Partnership gives all of the same rights as marriage.  Essentially, they are fighting over a word, with Starr’s side saying that a bare majority of the citizens can take away gay and lesbian people’s right to use the word “marriage”.

There was a Canadian political figure, Stockwell Day, who seemed to have similar beliefs in the rights of the majority over the rights of a minority.  He pushed for a law that would have required a referendum on any proposal supported by a petition signed by 3% of Canadian voters.  He stopped talking about this when Rick Mercer (sort of Canada’s Jon Stewart) called for a national petition forcing Stockwell Day to change his first name to “Doris”.

Perhaps the correct response to Proposition 8 is to put a constitutional amendment on the ballot requiring Ken Starr to change his first name to “Brenda”.


The view from our Canadian window

Attached: calculated molecules:
=====
No. 1
Computed, not measured: an isolated molecule of C4H6N2O2, with ωB97M-V with the def2-TZVPD basis set.

Atoms and positions in Å:
C  2.234  -0.570  -0.009
N  2.381  0.667  -0.010
O  1.053  1.192  -0.159
C  0.160  0.094  -0.106
C  -0.738  0.102  1.032
N  -1.950  -0.116  0.117
C  -0.977  -0.012  -1.057
O  0.961  -1.055  -0.071
H  3.046  -1.239  0.085
H  -0.730  1.007  1.751
H  -0.517  -0.764  1.721
H  -2.681  0.557  0.061
H  -1.036  -0.768  -1.775
H  -1.208  0.906  -1.581

Results
Calculated total energy   -11316.8992 eV
Relative energy (zero: lowest compared OMol25 entry of this formula, charge and spin)   95.5 kcal per mole
HOMO   -0.339 hartree
Structure (SMILES)   C1=NOC2(CNC2)O1

No. 2
Computed, not measured: an isolated molecule of C4H6N2O2, with ωB97M-V with the def2-TZVPD basis set.

Atoms and positions in Å:
C  -2.379  0.528  0.713
C  -2.028  -0.552  -0.256
N  -0.920  -0.930  -0.626
N  0.223  -0.246  -0.121
C  0.471  1.111  -0.402
O  1.456  1.786  -0.144
C  1.295  -1.145  0.073
O  2.334  -0.788  0.558
H  -1.521  0.759  1.413
H  -3.213  0.165  1.369
H  -2.646  1.464  0.213
H  -2.839  -1.123  -0.704
H  -0.364  1.538  -0.954
H  0.996  -2.207  -0.194

Results
Calculated total energy   -11318.7206 eV
Relative energy (zero: lowest compared OMol25 entry of this formula, charge and spin)   53.5 kcal per mole
HOMO   -0.367 hartree
Structure (SMILES)   C/C=N\N(C=O)C=O

No. 3
Computed, not measured: an isolated molecule of C4H6N2O2, with ωB97M-V with the def2-TZVPD basis set.

Atoms and positions in Å:
H  3.663  0.299  0.003
N  3.139  -0.707  -0.145
C  2.026  -0.238  -0.007
N  0.940  -1.011  0.290
C  -0.130  -0.113  0.002
O  -1.324  -0.805  -0.246
C  -2.551  -0.004  0.015
C  0.256  1.143  -0.074
O  1.639  1.118  -0.029
H  1.110  -1.901  -0.358
H  -3.070  -1.011  0.448
H  -3.152  0.493  -0.813
H  -2.247  0.746  0.834
H  -0.300  1.991  0.081

Results
Calculated total energy   -11316.9227 eV
Relative energy (zero: lowest compared OMol25 entry of this formula, charge and spin)   95.0 kcal per mole
HOMO   -0.307 hartree
Structure (SMILES)   [H]/N=c1/[nH]c(OC)co1

No. 4
Computed, not measured: an isolated molecule of C4H6N2O2, with ωB97M-V with the def2-TZVPD basis set.

Atoms and positions in Å:
C  -1.321  1.522  -0.362
O  0.115  1.486  -0.442
C  0.729  0.317  -0.096
C  0.636  -0.292  1.438
N  0.562  -1.560  1.281
N  0.122  -1.825  0.033
C  0.486  -0.948  -0.887
O  0.822  -1.094  -2.077
H  -1.575  2.569  -0.182
H  -1.692  0.974  0.552
H  -1.766  1.096  -1.237
H  1.751  0.545  -0.186
H  1.186  0.044  2.328
H  -0.056  -2.834  -0.164

Results
Calculated total energy   -11317.8828 eV
Relative energy (zero: lowest compared OMol25 entry of this formula, charge and spin)   72.8 kcal per mole
HOMO   -0.352 hartree
Structure (SMILES)   CO[C@H]1C=NNC1=O
=====

Posted in Canadian life, Random thoughts at 2:08 am by ducky

If you know us, you know we have raved about the view from our apartment.  It’s not the absolute best view in the world, but it is pretty stunning to a gal from the flat lands and buildings of Champaign, IL.


That picture (and an absolutely ginormous version) were taken and stitched together by Randy Stewart from Seattle.

Randy apparently walked into our apartment, said, “Oh my god!” or something such, and dashed into our bedroom to take pictures.   Our other dinner guest, from metropolitan Canada, was slightly perplexed/bemused by his reaction.  It is completely ordinary for people in cities in Canada to live in high-rise apartments.

Randy (and Jim and I) are from the US.  It is very uncommon for people to live in high-rises in the US.  If I think really hard, of all the thousands and thousands of people I have known, I can only think of six households who I know ever lived above the sixth floor, and one more who I think might have had a high-rise condo a few years ago.  (And three of those households were in the same building in Mountain View.)  That is it, period, total, everybody, and I had to think pretty hard to come up with that meagre ration.

Why are there so few high-rise residences in the US?  There are many factors.  I am by no means an expert, but these are a few:

  • The American Dream of owning your own house is cliche for a reason.  It is assumed that if you don’t own your own house, at least you aspire to owning your own house.  To not aspire to have your own house is sort of like not wanting to own a TV.
  • When renting, you generally get more square feet per dollar in a shared house than in an apartment, especially a shared apartment.  Even I, through all my moves, have only lived in four apartments in the US, and two of those were while I was a student.
  • In some places, the only high-rises around were “the projects” — government-built and -run publicly-subsidized housing.  Thus high-rises were decidedly un-sexy.
  • In California, where one-eighth of the US lives, cities can’t afford dense housing.
  • California has earthquakes, which makes people nervous about high-rises, even though high-rises constructed to modern codes are much safer in earthquakes than older houses on landfill or alluvial floodplains.
  • Traditionally, cheap gas has meant that it was feasible to live quite a ways from work.
  • In the US, not having a car can have a significant negative impact on the quality of your life, parking is difficult in cities, and very few US cities have good public transportation systems.  The poor transportation is due partly to density, but also part to the easy availability of guns.  Many people in the US are afraid of taking public transportation.

You should also note that Vancouver has worked very hard to develop its downtown.  The fact that it has a vibrant and vertical downtown was the result of very deliberate and careful urban planning, not an accident of fate.

UPDATE: I realized that several of the dorms at my US university were high-rises.  I’m not sure that counts.